Data
DFT (the ωB97M-V functional and the def2-TZVPD basis) results for 11 unconnected molecules or ions with the total composition C37H100N4O11 at a distorted geometry.

Last column: Mulliken charge in e.
Element x y z (Å)
1 C 4.0943 2.2339 -0.0246  -0.62
2 O 3.5415 3.5284 -0.0416  -0.38
3 C 2.5107 3.7425 -1.0263  0.32
4 C 2.0701 5.2032 -1.0002  0.76
5 C 0.9398 5.6185 -1.8701  -1.18
6 N 3.1032 6.1492 -1.3798  -0.75
7 H 3.3610 1.4298 -0.0873  0.09
8 H 4.5392 2.1814 0.9691  0.28
9 H 4.8775 2.1255 -0.7749  0.33
10 H 2.7514 3.3811 -2.0261  0.35
11 H 1.6684 3.1050 -0.7575  -0.53
12 H 1.6822 5.2587 0.0169  -0.13
13 H 1.1211 5.5540 -2.9430  0.35
14 H 0.4995 6.5706 -1.5740  0.54
15 H 0.1604 4.8693 -1.7309  -0.18
16 H 3.8343 6.0415 -0.6913  0.32
17 H 2.6433 7.0297 -1.1970  0.32
18 C -6.7237 1.3555 -1.5215  -0.43
19 O -7.0218 1.2428 -0.1353  -0.44
20 C -5.9329 0.8156 0.6839  -0.62
21 C -4.8560 1.8706 0.8707  2.50
22 C -3.8258 1.5088 1.9097  -1.30
23 N -5.4108 3.1436 1.3020  -0.82
24 H -5.6947 1.6698 -1.6960  0.01
25 H -7.3811 2.0962 -1.9767  0.30
26 H -6.8175 0.4153 -2.0649  0.29
27 H -6.2799 0.5110 1.6713  0.38
28 H -5.4063 -0.0639 0.3134  0.35
29 H -4.2768 2.0510 -0.0349  -1.18
30 H -2.9203 2.1153 1.8934  0.19
31 H -3.5012 0.4901 1.6972  -0.15
32 H -4.3653 1.5855 2.8537  0.59
33 H -4.9050 3.9927 1.0939  0.25
34 H -6.2259 3.2531 0.7159  0.33
35 C 3.6189 4.5078 4.0263  -0.62
36 O 2.3746 4.1465 4.5344  -0.48
37 C 1.9744 2.8265 4.2416  -0.99
38 C 1.4669 2.6910 2.8218  1.97
39 C 0.5646 3.7581 2.3288  -1.23
40 N 0.6521 1.4843 2.6945  1.04
41 H 4.0990 5.2396 4.6759  0.28
42 H 3.4369 5.0550 3.1013  0.19
43 H 4.3313 3.6865 3.9469  0.27
44 H 2.8095 2.1446 4.4023  0.44
45 H 1.1972 2.4991 4.9321  0.30
46 H 2.3768 2.7504 2.2246  -0.77
47 H 1.0495 4.7277 2.2153  0.30
48 H -0.2453 3.8663 3.0503  0.37
49 H 0.3026 3.5666 1.2883  -0.07
50 H -0.0408 1.2908 3.4034  -0.11
51 H 0.1920 1.4513 1.7960  -0.63
52 C 1.3345 -3.4332 -0.2118  -1.05
53 O 0.1820 -2.6176 -0.2842  0.10
54 C 0.4235 -1.1618 -0.2199  -0.57
55 C -0.9263 -0.4777 0.1356  2.00
56 C -2.0406 -0.8104 -0.8121  0.57
57 N -0.7487 0.9449 0.0436  0.92
58 H 1.0058 -4.4221 0.1076  0.27
59 H 2.0769 -3.1473 0.5333  0.26
60 H 1.7627 -3.5108 -1.2111  0.30
61 H 1.1420 -1.0063 0.5849  0.32
62 H 0.8978 -0.8728 -1.1578  -0.21
63 H -1.2199 -0.8175 1.1287  -0.44
64 H -2.8549 -0.0946 -0.7000  -0.15
65 H -2.5468 -1.7690 -0.6985  -0.60
66 H -1.5985 -0.7996 -1.8084  -0.69
67 H -1.6705 1.3571 0.0647  -0.39
68 H -0.5045 1.1998 -0.9027  -0.91
69 C -3.7387 -3.1075 1.5442  -0.78
70 C -3.0084 -4.3706 1.0486  0.32
71 C -3.3029 -4.6680 -0.4854  -0.90
72 O -1.5521 -4.3201 1.0902  -0.56
73 H -4.7830 -3.2365 1.2599  0.44
74 H -3.3347 -2.1575 1.1943  -0.06
75 H -3.6953 -3.0226 2.6300  0.29
76 H -3.4044 -5.2034 1.6298  0.44
77 H -4.3704 -4.8768 -0.5558  0.45
78 H -2.7441 -5.5425 -0.8186  0.36
79 H -3.0148 -3.9127 -1.2165  -0.16
80 H -1.3245 -3.5815 0.5207  0.31
81 C 3.4033 -2.5650 3.9175  -1.54
82 C 2.3804 -1.4318 4.0683  1.11
83 C 2.6214 -0.6450 5.3090  -1.34
84 O 2.6499 -0.5966 2.9744  -0.39
85 H 3.4495 -3.1706 4.8226  0.41
86 H 4.3787 -2.1457 3.6709  0.32
87 H 3.1645 -3.3690 3.2212  0.33
88 H 1.3492 -1.7785 4.0017  0.09
89 H 2.3008 -1.2590 6.1506  0.47
90 H 2.0131 0.2593 5.2966  0.15
91 H 3.6248 -0.2384 5.4360  0.30
92 H 1.9707 0.0816 2.9569  0.04
93 C -2.4183 -1.4679 6.9411  -1.56
94 C -1.6735 -0.7326 5.7873  0.95
95 C -2.3678 -0.8836 4.4646  -0.62
96 O -1.6541 0.6249 6.1610  -0.57
97 H -3.4991 -1.5441 6.8225  0.34
98 H -2.3200 -1.0179 7.9291  0.38
99 H -2.1817 -2.5297 7.0094  0.38
100 H -0.6369 -1.0633 5.7220  -0.13
101 H -1.7333 -0.4101 3.7153  -0.30
102 H -3.3849 -0.4946 4.4169  0.47
103 H -2.4069 -1.8824 4.0299  0.27
104 H -2.5197 0.9846 5.9538  0.37
105 C 1.7986 -0.6884 -4.0074  -1.07
106 C 2.6807 0.4777 -3.5291  1.65
107 C 4.1951 0.4322 -3.8418  -1.64
108 O 2.1449 1.6563 -4.0126  -0.56
109 H 2.1594 -1.6425 -3.6232  0.23
110 H 1.7831 -0.8118 -5.0903  0.49
111 H 0.7664 -0.4497 -3.7511  -0.01
Work order
The reader should quote the material further up word for word.
Outcome
DFT (the ωB97M-V functional and the def2-TZVPD basis) results for 11 unconnected molecules or ions with the total composition C37H100N4O11 at a distorted geometry.

Last column: Mulliken charge in e.
Element x y z (Å)
1 C 4.0943 2.2339 -0.0246  -0.62
2 O 3.5415 3.5284 -0.0416  -0.38
3 C 2.5107 3.7425 -1.0263  0.32
4 C 2.0701 5.2032 -1.0002  0.76
5 C 0.9398 5.6185 -1.8701  -1.18
6 N 3.1032 6.1492 -1.3798  -0.75
7 H 3.3610 1.4298 -0.0873  0.09
8 H 4.5392 2.1814 0.9691  0.28
9 H 4.8775 2.1255 -0.7749  0.33
10 H 2.7514 3.3811 -2.0261  0.35
11 H 1.6684 3.1050 -0.7575  -0.53
12 H 1.6822 5.2587 0.0169  -0.13
13 H 1.1211 5.5540 -2.9430  0.35
14 H 0.4995 6.5706 -1.5740  0.54
15 H 0.1604 4.8693 -1.7309  -0.18
16 H 3.8343 6.0415 -0.6913  0.32
17 H 2.6433 7.0297 -1.1970  0.32
18 C -6.7237 1.3555 -1.5215  -0.43
19 O -7.0218 1.2428 -0.1353  -0.44
20 C -5.9329 0.8156 0.6839  -0.62
21 C -4.8560 1.8706 0.8707  2.50
22 C -3.8258 1.5088 1.9097  -1.30
23 N -5.4108 3.1436 1.3020  -0.82
24 H -5.6947 1.6698 -1.6960  0.01
25 H -7.3811 2.0962 -1.9767  0.30
26 H -6.8175 0.4153 -2.0649  0.29
27 H -6.2799 0.5110 1.6713  0.38
28 H -5.4063 -0.0639 0.3134  0.35
29 H -4.2768 2.0510 -0.0349  -1.18
30 H -2.9203 2.1153 1.8934  0.19
31 H -3.5012 0.4901 1.6972  -0.15
32 H -4.3653 1.5855 2.8537  0.59
33 H -4.9050 3.9927 1.0939  0.25
34 H -6.2259 3.2531 0.7159  0.33
35 C 3.6189 4.5078 4.0263  -0.62
36 O 2.3746 4.1465 4.5344  -0.48
37 C 1.9744 2.8265 4.2416  -0.99
38 C 1.4669 2.6910 2.8218  1.97
39 C 0.5646 3.7581 2.3288  -1.23
40 N 0.6521 1.4843 2.6945  1.04
41 H 4.0990 5.2396 4.6759  0.28
42 H 3.4369 5.0550 3.1013  0.19
43 H 4.3313 3.6865 3.9469  0.27
44 H 2.8095 2.1446 4.4023  0.44
45 H 1.1972 2.4991 4.9321  0.30
46 H 2.3768 2.7504 2.2246  -0.77
47 H 1.0495 4.7277 2.2153  0.30
48 H -0.2453 3.8663 3.0503  0.37
49 H 0.3026 3.5666 1.2883  -0.07
50 H -0.0408 1.2908 3.4034  -0.11
51 H 0.1920 1.4513 1.7960  -0.63
52 C 1.3345 -3.4332 -0.2118  -1.05
53 O 0.1820 -2.6176 -0.2842  0.10
54 C 0.4235 -1.1618 -0.2199  -0.57
55 C -0.9263 -0.4777 0.1356  2.00
56 C -2.0406 -0.8104 -0.8121  0.57
57 N -0.7487 0.9449 0.0436  0.92
58 H 1.0058 -4.4221 0.1076  0.27
59 H 2.0769 -3.1473 0.5333  0.26
60 H 1.7627 -3.5108 -1.2111  0.30
61 H 1.1420 -1.0063 0.5849  0.32
62 H 0.8978 -0.8728 -1.1578  -0.21
63 H -1.2199 -0.8175 1.1287  -0.44
64 H -2.8549 -0.0946 -0.7000  -0.15
65 H -2.5468 -1.7690 -0.6985  -0.60
66 H -1.5985 -0.7996 -1.8084  -0.69
67 H -1.6705 1.3571 0.0647  -0.39
68 H -0.5045 1.1998 -0.9027  -0.91
69 C -3.7387 -3.1075 1.5442  -0.78
70 C -3.0084 -4.3706 1.0486  0.32
71 C -3.3029 -4.6680 -0.4854  -0.90
72 O -1.5521 -4.3201 1.0902  -0.56
73 H -4.7830 -3.2365 1.2599  0.44
74 H -3.3347 -2.1575 1.1943  -0.06
75 H -3.6953 -3.0226 2.6300  0.29
76 H -3.4044 -5.2034 1.6298  0.44
77 H -4.3704 -4.8768 -0.5558  0.45
78 H -2.7441 -5.5425 -0.8186  0.36
79 H -3.0148 -3.9127 -1.2165  -0.16
80 H -1.3245 -3.5815 0.5207  0.31
81 C 3.4033 -2.5650 3.9175  -1.54
82 C 2.3804 -1.4318 4.0683  1.11
83 C 2.6214 -0.6450 5.3090  -1.34
84 O 2.6499 -0.5966 2.9744  -0.39
85 H 3.4495 -3.1706 4.8226  0.41
86 H 4.3787 -2.1457 3.6709  0.32
87 H 3.1645 -3.3690 3.2212  0.33
88 H 1.3492 -1.7785 4.0017  0.09
89 H 2.3008 -1.2590 6.1506  0.47
90 H 2.0131 0.2593 5.2966  0.15
91 H 3.6248 -0.2384 5.4360  0.30
92 H 1.9707 0.0816 2.9569  0.04
93 C -2.4183 -1.4679 6.9411  -1.56
94 C -1.6735 -0.7326 5.7873  0.95
95 C -2.3678 -0.8836 4.4646  -0.62
96 O -1.6541 0.6249 6.1610  -0.57
97 H -3.4991 -1.5441 6.8225  0.34
98 H -2.3200 -1.0179 7.9291  0.38
99 H -2.1817 -2.5297 7.0094  0.38
100 H -0.6369 -1.0633 5.7220  -0.13
101 H -1.7333 -0.4101 3.7153  -0.30
102 H -3.3849 -0.4946 4.4169  0.47
103 H -2.4069 -1.8824 4.0299  0.27
104 H -2.5197 0.9846 5.9538  0.37
105 C 1.7986 -0.6884 -4.0074  -1.07
106 C 2.6807 0.4777 -3.5291  1.65
107 C 4.1951 0.4322 -3.8418  -1.64
108 O 2.1449 1.6563 -4.0126  -0.56
109 H 2.1594 -1.6425 -3.6232  0.23
110 H 1.7831 -0.8118 -5.0903  0.49
111 H 0.7664 -0.4497 -3.7511  -0.01